What is needed: retype the material below with every line break kept.

┌──
Entry 1:
The following is a DFT calculation (the ωB97M-V functional and the def2-TZVPD basis) of a single C3H2O2S2 molecule in a non-equilibrium geometry.

HOMO energy ... -8.92 eV
HOMO-LUMO gap ... 8.073 eV
Maximum force ... 2.91 eV/A
E_tot ... -1062.28876 Ha

ORCA input file:
```
! RIJCOSX wB97M-V def2-TZVPD def2/J DEFGRID3
* xyz 0 1
C 0.283 0.926 0.874
C -0.863 0.421 0.373
C -0.915 -0.477 -0.730
O -1.651 -1.061 -1.437
O 1.531 -1.909 -1.265
S 1.925 0.553 0.478
S 1.107 -0.522 -1.312
H 0.222 1.488 1.898
H -1.639 0.581 1.121
*
```

***

Entry 2:
The following is a DFT calculation (the ωB97M-V functional and the def2-TZVPD basis) of a molecular structure, C27H41B2Br45FN2O7P in a non-equilibrium geometry.

HOMO energy ... -7.80 eV
HOMO-LUMO gap ... 7.292 eV
Maximum force ... 5.41 eV/A
E_tot ... -118010.89590 Ha

ORCA input file:
```
! RIJCOSX wB97M-V def2-TZVPD def2/J DEFGRID3
* xyz 0 1
C -4.465 0.345 -1.226
C -2.898 0.764 -1.278
O -2.202 0.510 -0.021
B -2.016 1.752 0.723
O -3.150 2.666 0.691
P -0.341 2.165 1.647
C -1.405 2.779 3.114
N -0.645 3.179 4.336
C -1.140 2.526 5.582
C 0.570 1.497 0.077
C 2.108 1.889 -0.011
O 2.959 1.769 0.886
F 2.580 2.454 -1.264
C 0.487 0.774 2.656
C -0.662 -0.316 2.972
O -1.295 -0.323 4.056
O -0.964 -1.353 2.030
C -2.014 -2.193 2.536
C -1.679 -3.594 3.221
O -3.213 -1.822 2.432
B 0.393 3.914 1.314
O 0.211 4.449 -0.042
N 1.090 4.774 2.320
C 0.177 5.952 2.587
C 2.348 5.384 1.774
H -4.995 0.503 -2.233
H -4.949 0.940 -0.380
H -4.588 -0.771 -0.966
H -2.751 1.816 -1.695
H -2.428 0.044 -2.052
H -3.732 2.522 1.470
H -1.960 3.740 2.749
H -2.216 2.001 3.349
H 0.373 3.104 4.221
H -1.110 3.331 6.415
H -2.252 2.220 5.513
H -0.520 1.637 5.943
H 0.526 0.343 -0.031
H -0.014 1.891 -0.844
H 1.023 1.108 3.603
H 1.273 0.195 2.038
H -2.344 -4.383 2.738
H -0.583 -3.871 2.974
H -1.793 -3.580 4.357
H 1.080 4.501 -0.504
H 0.778 6.918 2.795
H -0.514 6.198 1.712
H -0.487 5.782 3.513
H 3.179 4.593 1.587
H 2.188 6.054 0.857
H 2.778 6.074 2.598
C -1.381 -1.658 -5.079
Br 0.010 -3.004 -5.231
Br -2.935 -2.333 -4.139
Br -0.714 -0.021 -4.284
H -1.701 -1.415 -6.091
C -0.852 -4.546 -1.504
Br -1.007 -2.701 -0.928
Br -0.377 -5.723 -0.037
Br -2.450 -5.150 -2.423
H -0.036 -4.588 -2.224
C 5.973 3.431 3.710
Br 4.188 2.851 4.206
Br 5.926 4.878 2.421
Br 7.041 3.880 5.264
H 6.458 2.587 3.224
C -1.914 -8.938 -3.614
Br -1.032 -10.402 -2.695
Br -1.050 -8.519 -5.301
Br -3.814 -9.266 -3.836
H -1.815 -8.058 -2.979
C 4.477 0.537 8.061
Br 6.035 0.755 6.925
Br 4.158 2.107 9.153
Br 2.905 0.037 7.039
H 4.691 -0.286 8.740
C 0.495 -6.056 -8.002
Br 1.375 -7.522 -7.081
Br 1.357 -5.640 -9.689
Br -1.405 -6.380 -8.227
H 0.595 -5.176 -7.368
C 3.671 0.464 -4.604
Br 3.659 2.257 -3.868
Br 3.146 -0.858 -3.285
Br 2.601 0.344 -6.218
H 4.699 0.240 -4.887
C 0.518 -7.939 -13.371
Br -1.270 -7.265 -13.035
Br 1.822 -6.507 -13.456
Br 1.028 -9.302 -12.089
H 0.500 -8.413 -14.351
C -4.347 5.935 2.291
Br -6.146 6.572 2.637
Br -3.075 7.395 2.192
Br -3.802 4.583 3.574
H -4.360 5.457 1.312
C -4.891 2.501 8.066
Br -3.970 0.929 7.404
Br -4.762 3.993 6.830
Br -6.734 2.112 8.533
H -4.388 2.803 8.983
C 1.787 5.834 -5.230
Br 1.911 6.139 -3.318
Br 0.640 4.327 -5.645
Br 1.247 7.435 -6.182
H 2.787 5.578 -5.577
C -6.284 -2.949 -6.105
Br -4.731 -2.714 -7.242
Br -6.618 -1.386 -5.007
Br -7.852 -3.463 -7.124
H -6.061 -3.772 -5.427
C 5.932 -7.628 -7.772
Br 5.925 -5.831 -7.040
Br 5.402 -8.947 -6.452
Br 4.861 -7.752 -9.384
H 6.959 -7.853 -8.053
C -5.252 0.047 11.543
Br -3.843 -1.277 11.388
Br -6.786 -0.641 12.508
Br -4.600 1.705 12.313
H -5.587 0.276 10.532
C 10.545 2.202 3.072
Br 10.414 4.051 3.642
Br 11.007 1.025 4.543
Br 8.939 1.614 2.156
H 11.360 2.147 2.352
*
```

***

Entry 3:
The following is a DFT calculation (the ωB97M-V functional and the def2-TZVPD basis) of a single C5H5NO2 molecule in a non-equilibrium geometry.

HOMO energy ... -9.43 eV
HOMO-LUMO gap ... 10.026 eV
Maximum force ... 3.51 eV/A
E_tot ... -398.62293 Ha

ORCA input file:
```
! RIJCOSX wB97M-V def2-TZVPD def2/J DEFGRID3
└──

Entry 1:
The following is a DFT calculation (the ωB97M-V functional and the def2-TZVPD basis) of a single C3H2O2S2 molecule in a non-equilibrium geometry.

HOMO energy ... -8.92 eV
HOMO-LUMO gap ... 8.073 eV
Maximum force ... 2.91 eV/A
E_tot ... -1062.28876 Ha

ORCA input file:
```
! RIJCOSX wB97M-V def2-TZVPD def2/J DEFGRID3
* xyz 0 1
C 0.283 0.926 0.874
C -0.863 0.421 0.373
C -0.915 -0.477 -0.730
O -1.651 -1.061 -1.437
O 1.531 -1.909 -1.265
S 1.925 0.553 0.478
S 1.107 -0.522 -1.312
H 0.222 1.488 1.898
H -1.639 0.581 1.121
*
```

***

Entry 2:
The following is a DFT calculation (the ωB97M-V functional and the def2-TZVPD basis) of a molecular structure, C27H41B2Br45FN2O7P in a non-equilibrium geometry.

HOMO energy ... -7.80 eV
HOMO-LUMO gap ... 7.292 eV
Maximum force ... 5.41 eV/A
E_tot ... -118010.89590 Ha

ORCA input file:
```
! RIJCOSX wB97M-V def2-TZVPD def2/J DEFGRID3
* xyz 0 1
C -4.465 0.345 -1.226
C -2.898 0.764 -1.278
O -2.202 0.510 -0.021
B -2.016 1.752 0.723
O -3.150 2.666 0.691
P -0.341 2.165 1.647
C -1.405 2.779 3.114
N -0.645 3.179 4.336
C -1.140 2.526 5.582
C 0.570 1.497 0.077
C 2.108 1.889 -0.011
O 2.959 1.769 0.886
F 2.580 2.454 -1.264
C 0.487 0.774 2.656
C -0.662 -0.316 2.972
O -1.295 -0.323 4.056
O -0.964 -1.353 2.030
C -2.014 -2.193 2.536
C -1.679 -3.594 3.221
O -3.213 -1.822 2.432
B 0.393 3.914 1.314
O 0.211 4.449 -0.042
N 1.090 4.774 2.320
C 0.177 5.952 2.587
C 2.348 5.384 1.774
H -4.995 0.503 -2.233
H -4.949 0.940 -0.380
H -4.588 -0.771 -0.966
H -2.751 1.816 -1.695
H -2.428 0.044 -2.052
H -3.732 2.522 1.470
H -1.960 3.740 2.749
H -2.216 2.001 3.349
H 0.373 3.104 4.221
H -1.110 3.331 6.415
H -2.252 2.220 5.513
H -0.520 1.637 5.943
H 0.526 0.343 -0.031
H -0.014 1.891 -0.844
H 1.023 1.108 3.603
H 1.273 0.195 2.038
H -2.344 -4.383 2.738
H -0.583 -3.871 2.974
H -1.793 -3.580 4.357
H 1.080 4.501 -0.504
H 0.778 6.918 2.795
H -0.514 6.198 1.712
H -0.487 5.782 3.513
H 3.179 4.593 1.587
H 2.188 6.054 0.857
H 2.778 6.074 2.598
C -1.381 -1.658 -5.079
Br 0.010 -3.004 -5.231
Br -2.935 -2.333 -4.139
Br -0.714 -0.021 -4.284
H -1.701 -1.415 -6.091
C -0.852 -4.546 -1.504
Br -1.007 -2.701 -0.928
Br -0.377 -5.723 -0.037
Br -2.450 -5.150 -2.423
H -0.036 -4.588 -2.224
C 5.973 3.431 3.710
Br 4.188 2.851 4.206
Br 5.926 4.878 2.421
Br 7.041 3.880 5.264
H 6.458 2.587 3.224
C -1.914 -8.938 -3.614
Br -1.032 -10.402 -2.695
Br -1.050 -8.519 -5.301
Br -3.814 -9.266 -3.836
H -1.815 -8.058 -2.979
C 4.477 0.537 8.061
Br 6.035 0.755 6.925
Br 4.158 2.107 9.153
Br 2.905 0.037 7.039
H 4.691 -0.286 8.740
C 0.495 -6.056 -8.002
Br 1.375 -7.522 -7.081
Br 1.357 -5.640 -9.689
Br -1.405 -6.380 -8.227
H 0.595 -5.176 -7.368
C 3.671 0.464 -4.604
Br 3.659 2.257 -3.868
Br 3.146 -0.858 -3.285
Br 2.601 0.344 -6.218
H 4.699 0.240 -4.887
C 0.518 -7.939 -13.371
Br -1.270 -7.265 -13.035
Br 1.822 -6.507 -13.456
Br 1.028 -9.302 -12.089
H 0.500 -8.413 -14.351
C -4.347 5.935 2.291
Br -6.146 6.572 2.637
Br -3.075 7.395 2.192
Br -3.802 4.583 3.574
H -4.360 5.457 1.312
C -4.891 2.501 8.066
Br -3.970 0.929 7.404
Br -4.762 3.993 6.830
Br -6.734 2.112 8.533
H -4.388 2.803 8.983
C 1.787 5.834 -5.230
Br 1.911 6.139 -3.318
Br 0.640 4.327 -5.645
Br 1.247 7.435 -6.182
H 2.787 5.578 -5.577
C -6.284 -2.949 -6.105
Br -4.731 -2.714 -7.242
Br -6.618 -1.386 -5.007
Br -7.852 -3.463 -7.124
H -6.061 -3.772 -5.427
C 5.932 -7.628 -7.772
Br 5.925 -5.831 -7.040
Br 5.402 -8.947 -6.452
Br 4.861 -7.752 -9.384
H 6.959 -7.853 -8.053
C -5.252 0.047 11.543
Br -3.843 -1.277 11.388
Br -6.786 -0.641 12.508
Br -4.600 1.705 12.313
H -5.587 0.276 10.532
C 10.545 2.202 3.072
Br 10.414 4.051 3.642
Br 11.007 1.025 4.543
Br 8.939 1.614 2.156
H 11.360 2.147 2.352
*
```

***

Entry 3:
The following is a DFT calculation (the ωB97M-V functional and the def2-TZVPD basis) of a single C5H5NO2 molecule in a non-equilibrium geometry.

HOMO energy ... -9.43 eV
HOMO-LUMO gap ... 10.026 eV
Maximum force ... 3.51 eV/A
E_tot ... -398.62293 Ha

ORCA input file:
```
! RIJCOSX wB97M-V def2-TZVPD def2/J DEFGRID3